You are reading this article because we have informed you that we are running PHP X-RAY on your...
Cron Job Command Format in CpanelHere we will show you some easy cron job format to put into Cpanel command field so that you can...
Enabling HSTS in CpanelABOUT HSTS HTTP Strict Transport Security (HSTS) instructs web browsers to only use secure...
FTP Not Working (No Files When I Log In)You are reading this article because you created your ftp account in Cpanel but when you log in...
FTP not working when I try and connect (TLS/SSL)You are reading this article because you are trying to connect to our servers with FTP and "it's...
# Materials data, kept here for reference
'''
Record 1
The following is a computed X-ray diffraction stick pattern of AcNd8Dy3. It was derived from a DFT-relaxed cell (PBE, Alexandria), using CuKα.
Peak positions follow from Bragg's law for the DFT cell and can differ from measured ones.

Structural model:
Cell: 15.6501 9.0271 6.5532 Å, 90.00 114.00 90.00°
Space group C2 (No. 5)
Inequivalent atoms, fractional coordinates:
Ac1 0.0000 0.0000 0.0000 x2
Nd1 0.0681 0.3334 0.3124 x4
Nd2 0.1319 0.9658 0.6363 x4
Nd3 0.1745 0.3228 0.9072 x4
Nd4 0.2459 0.5936 0.6542 x4
Dy1 0.0000 0.6454 0.5000 x2
Dy2 0.1257 0.6640 0.0923 x4

Principal peaks in the range 5 to 70 degrees two-theta, sorted by position:
2θ 24.77, rel. 9, (2 2 -1); 2θ 29.60, rel. 30, (1 1 -2); 2θ 29.76, rel. 19, (3 1 -2); 2θ 30.00, rel. 44, (3 1 1); 2θ 30.34, rel. 100, (5 1 -1); 2θ 30.61, rel. 28, (4 2 -1); 2θ 33.81, rel. 27, (2 2 -2); 2θ 39.62, rel. 8, (4 2 1); 2θ 55.29, rel. 8, (8 2 0); 2θ 59.09, rel. 8, (5 5 -1)

Record 2
The following is a computed X-ray diffraction stick pattern of AcNd8Dy2. It was derived from a DFT-relaxed cell (PBE, Alexandria), using CuKα.
Peak positions follow from Bragg's law for the DFT cell and can differ from measured ones.

Structural model:
Cell: 5.6607 8.5766 16.2558 Å, 90.00 90.00 90.00°
Space group Immm (No. 71)
Inequivalent atoms, fractional coordinates:
Ac1 0.0000 0.0000 0.0000 x2
Nd1 0.0000 0.2022 0.5000 x4
Nd2 0.0000 0.2978 0.1451 x8
Nd3 0.0000 0.5000 0.3395 x4
Dy1 0.0000 0.0000 0.2996 x4

Principal peaks in the range 5 to 70 degrees two-theta, sorted by position:
2θ 28.98, rel. 31, (1 1 4); 2θ 30.93, rel. 100, (1 2 3); 2θ 31.61, rel. 33, (2 0 0); 2θ 31.77, rel. 21, (0 3 1); 2θ 33.06, rel. 17, (0 0 6); 2θ 42.11, rel. 10, (0 4 0); 2θ 46.39, rel. 13, (2 0 6); 2θ 50.64, rel. 11, (0 3 7); 2θ 55.87, rel. 19, (3 2 3); 2θ 60.90, rel. 26, (2 3 7)

Record 3
The following is a computed X-ray diffraction stick pattern of Ac4NdDy2. It was derived from a DFT-relaxed cell (PBE, Alexandria), using CuKα.
Peak positions follow from Bragg's law for the DFT cell and can differ from measured ones.

Structural model:
Cell: 6.8090 12.7168 13.2299 Å, 90.00 104.69 90.00°
Space group Cc (No. 9)
Inequivalent atoms, fractional coordinates:
Ac1 0.0000 0.0826 0.0000 x4
Ac2 0.0570 0.3586 0.6484 x4
Ac3 0.3546 0.1436 0.5705 x4
Ac4 0.4118 0.4145 0.2200 x4
Nd1 0.4558 0.0611 0.8594 x4
Dy1 0.1513 0.1811 0.2918 x4
Dy2 0.2585 0.3174 0.9273 x4

Principal peaks in the range 5 to 70 degrees two-theta, sorted by position:
2θ 28.07, rel. 14, (0 4 0); 2θ 28.59, rel. 100, (1 1 -4); 2θ 28.94, rel. 31, (0 4 1); 2θ 29.77, rel. 63, (2 2 -1); 2θ 30.36, rel. 29, (1 3 -3); 2θ 30.60, rel. 20, (2 2 -2); 2θ 34.94, rel. 23, (1 3 3); 2θ 35.02, rel. 14, (1 3 -4); 2θ 52.04, rel. 20, (0 2 7); 2θ 56.35, rel. 12, (3 3 -6)

~~~~~

Starting from the PBE+U geometry in Alexandria, the PXRD pattern of Ni2RuClO was calculated for copper Kα.
'''
How to Create a PHP INFO file on my account?You are reading this article as you want to know howto create a phpinfo file on your hosting...
How to upgrade/update PHP on CpanelYou are reading this article because you want to increase/decrease the PHP version on your Cpanel...
I want to transfer my domains/hosting and/or email to JUCRA DigitalYou are reading this article because you would like us to take over your domain, hosting and/or...
Is PDO_SQLITE extension activated on your servers?PDO is installed across all PHP versions. PDO_SQLITE is part of the PDO package.In Addition,...
Multiple Cpanel Logins For Same AccountYou are reading this article because you want to have multiple Cpanel user logins for a single...
My site won't run on php 7+. What versions of php do you support?You are reading this article because you have a website on our servers and when you switch to PHP...
Reboot TimesYou are reading this article as we are in the process or will be in the process of rebooting one...
Stacking Multiple Domains onto one Hosting accountYou are reading this article because you are thinking to buy one hosting account and then adding...
The certificate will not renew via AutoSSL because it was not issued via AutoSSL.If you get a message saying your Cpanel SSL has expired and you login to Cpanel and see the error...
Using Our Servers as an SMTP RelayYou are reading this article because you have tried to use remote SMTP account credentials such...
What DNS Nameservers should I use?For your hosting at JUCRA Digital, please use the following nameservers. DNS NAME IP...
What is the difference between Jailed Shell and Normal Shell?You are reading this article because you have been granted shell access on our servers and want...
Why do you not offer unlimited hosting? Many companies do!You are reading this article to understand why we don't offer unlimited hosting space when many...
Why is my site running slow? Understanding CloudLinux LVE Resource UsageSometimes we are asked "why is my site running slow" or "why am I getting kicked out of my site"...
Your IP address has changed. Please log in again (cPanel Error)If you are getting errors like this when trying to access cPanel or your Webmail (on cPanel...